(Assignment)
Your job: copy the whole of the lines underneath exactly.
(File)
'''
Diffraction record for ZnGaMo4N2. The X-ray powder pattern is theoretical, not measured: it uses a DFT-relaxed cell (PBE, OQMD) and copper Kα.
Kinematic intensities with the Lorentz-polarization factor, no thermal factor.

Principal peaks in the range 2θ = 10–90°, low angle first:
(0 0 4), d = 3.648 Å, I 5; (1 0 0), d = 2.468 Å, I 20; (0 0 6), d = 2.432 Å, I 26; (1 0 3), d = 2.201 Å, I 100; (1 0 6), d = 1.732 Å, I 16; (1 0 7), d = 1.593 Å, I 5; (1 1 0), d = 1.425 Å, I 18; (1 0 9), d = 1.355 Å, I 14; (1 1 6), d = 1.230 Å, I 16; (2 0 3), d = 1.196 Å, I 13

Structural model:
Cell lengths 2.8503, 2.8503, 14.5927 Å; angles 90.00, 90.00, 120.00 degrees
Positions (direct):
Zn1 0.0000 0.0000 0.0000
Ga1 0.6667 0.3333 0.5000
Mo1 0.0000 0.0000 0.3469
Mo2 0.0000 0.0000 0.6531
Mo3 0.6667 0.3333 0.1548
Mo4 0.6667 0.3333 0.8452
N1 0.3333 0.6667 0.2508
N2 0.3333 0.6667 0.7492


AcTb2TmAs4: computed XRD peak list (a wavelength of 1.5418 Å), based on a DFT-relaxed cell (PBE, Alexandria).
Kinematic intensities with the Lorentz-polarization factor, no thermal factor.

a = 7.3266 Å, b = 4.2336 Å, c = 7.3331 Å
α = 90.00°, β = 109.37°, γ = 90.00°
Space group P2/m (No. 10)
Asymmetric unit:
Ac: 0.0000 0.0000 0.0000 (multiplicity 1)
Tb: 0.0000 0.5000 0.5000 (multiplicity 1)
Tb: 0.5000 0.0000 0.5000 (multiplicity 1)
Tm: 0.5000 0.5000 0.0000 (multiplicity 1)
As: 0.2603 0.0000 0.7459 (multiplicity 2)
As: 0.2667 0.5000 0.2634 (multiplicity 2)

Most intense lines, 10° ≤ 2θ ≤ 80°, in order of rising 2θ:
2θ (°), I_rel, hkl
25.77, 29, 2 0 0
29.85, 100, 1 1 1
42.72, 75, 0 2 0
50.56, 15, 3 1 1
52.98, 27, 2 2 -2
62.01, 12, 2 2 2
70.31, 28, 1 3 1
78.20, 19, 1 3 -3

---

Ac4TeAs3: computed XRD peak list (a wavelength of 1.5418 Å), based on a DFT-relaxed cell (PBE, Alexandria).
Kinematic intensities with the Lorentz-polarization factor, no thermal factor.

a = 4.5740 Å, b = 6.5095 Å, c = 9.2282 Å
α = 90.00°, β = 90.00°, γ = 90.00°
Space group Pmmm (No. 47)
Asymmetric unit:
Ac: 0.0000 0.0000 0.0000 (multiplicity 1)
Ac: 0.0000 0.0000 0.5000 (multiplicity 1)
Ac: 0.5000 0.5000 0.2318 (multiplicity 2)
Te: 0.0000 0.5000 0.5000 (multiplicity 1)
As: 0.0000 0.5000 0.0000 (multiplicity 1)
As: 0.5000 0.0000 0.2515 (multiplicity 2)

Most intense lines, 10° ≤ 2θ ≤ 80°, in order of rising 2θ:
2θ (°), I_rel, hkl
23.63, 16, 0 1 2
23.78, 17, 1 1 0
27.44, 100, 0 2 0
39.18, 52, 1 2 2
39.40, 13, 2 0 0
48.36, 14, 0 2 4
48.66, 14, 2 2 0
64.03, 24, 1 4 2

---

AcThTeAs: computed XRD peak list (a wavelength of 1.5418 Å), based on a DFT-relaxed cell (PBE, Alexandria).
Kinematic intensities with the Lorentz-polarization factor, no thermal factor.

a = 4.3639 Å, b = 4.3639 Å, c = 23.5710 Å
α = 90.00°, β = 90.00°, γ = 120.00°
Space group R3m (No. 160, hexagonal axes)
Asymmetric unit:
Ac: 0.0000 0.0000 0.0000 (multiplicity 3)
Th: 0.0000 0.0000 0.8106 (multiplicity 3)
Te: 0.0000 0.0000 0.2324 (multiplicity 3)
As: 0.0000 0.0000 0.4120 (multiplicity 3)

Most intense lines, 10° ≤ 2θ ≤ 80°, in order of rising 2θ:
2θ (°), I_rel, hkl
23.85, 32, 1 0 1
28.05, 33, 1 0 4
30.31, 100, 0 1 5
35.71, 22, 1 0 7
41.38, 49, 1 1 0
45.34, 23, 1 0 10
52.15, 22, 2 0 5
68.66, 20, 1 2 5

---

AcYTeAs: computed XRD peak list (a wavelength of 1.5418 Å), based on a DFT-relaxed cell (PBE, Alexandria).
Kinematic intensities with the Lorentz-polarization factor, no thermal factor.

a = 4.3876 Å, b = 4.3876 Å, c = 22.3548 Å
α = 90.00°, β = 90.00°, γ = 120.00°
Space group R3m (No. 160, hexagonal axes)
Asymmetric unit:
Ac: 0.0000 0.0000 0.0000 (multiplicity 3)
Y: 0.0000 0.0000 0.4806 (multiplicity 3)
Te: 0.0000 0.0000 0.2326 (multiplicity 3)
As: 0.0000 0.0000 0.7486 (multiplicity 3)

Most intense lines, 10° ≤ 2θ ≤ 80°, in order of rising 2θ:
2θ (°), I_rel, hkl
23.75, 14, 1 0 1
28.40, 100, 1 0 4
30.88, 16, 0 1 5
40.05, 34, 0 1 8
41.15, 39, 1 1 0
50.75, 20, 0 2 4
65.76, 12, 1 1 12
67.31, 17, 2 1 4
'''
(Completed)
Diffraction record for ZnGaMo4N2. The X-ray powder pattern is theoretical, not measured: it uses a DFT-relaxed cell (PBE, OQMD) and copper Kα.
Kinematic intensities with the Lorentz-polarization factor, no thermal factor.

Principal peaks in the range 2θ = 10–90°, low angle first:
(0 0 4), d = 3.648 Å, I 5; (1 0 0), d = 2.468 Å, I 20; (0 0 6), d = 2.432 Å, I 26; (1 0 3), d = 2.201 Å, I 100; (1 0 6), d = 1.732 Å, I 16; (1 0 7), d = 1.593 Å, I 5; (1 1 0), d = 1.425 Å, I 18; (1 0 9), d = 1.355 Å, I 14; (1 1 6), d = 1.230 Å, I 16; (2 0 3), d = 1.196 Å, I 13

Structural model:
Cell lengths 2.8503, 2.8503, 14.5927 Å; angles 90.00, 90.00, 120.00 degrees
Positions (direct):
Zn1 0.0000 0.0000 0.0000
Ga1 0.6667 0.3333 0.5000
Mo1 0.0000 0.0000 0.3469
Mo2 0.0000 0.0000 0.6531
Mo3 0.6667 0.3333 0.1548
Mo4 0.6667 0.3333 0.8452
N1 0.3333 0.6667 0.2508
N2 0.3333 0.6667 0.7492


AcTb2TmAs4: computed XRD peak list (a wavelength of 1.5418 Å), based on a DFT-relaxed cell (PBE, Alexandria).
Kinematic intensities with the Lorentz-polarization factor, no thermal factor.

a = 7.3266 Å, b = 4.2336 Å, c = 7.3331 Å
α = 90.00°, β = 109.37°, γ = 90.00°
Space group P2/m (No. 10)
Asymmetric unit:
Ac: 0.0000 0.0000 0.0000 (multiplicity 1)
Tb: 0.0000 0.5000 0.5000 (multiplicity 1)
Tb: 0.5000 0.0000 0.5000 (multiplicity 1)
Tm: 0.5000 0.5000 0.0000 (multiplicity 1)
As: 0.2603 0.0000 0.7459 (multiplicity 2)
As: 0.2667 0.5000 0.2634 (multiplicity 2)

Most intense lines, 10° ≤ 2θ ≤ 80°, in order of rising 2θ:
2θ (°), I_rel, hkl
25.77, 29, 2 0 0
29.85, 100, 1 1 1
42.72, 75, 0 2 0
50.56, 15, 3 1 1
52.98, 27, 2 2 -2
62.01, 12, 2 2 2
70.31, 28, 1 3 1
78.20, 19, 1 3 -3

---

Ac4TeAs3: computed XRD peak list (a wavelength of 1.5418 Å), based on a DFT-relaxed cell (PBE, Alexandria).
Kinematic intensities with the Lorentz-polarization factor, no thermal factor.

a = 4.5740 Å, b = 6.5095 Å, c = 9.2282 Å
α = 90.00°, β = 90.00°, γ = 90.00°
Space group Pmmm (No. 47)
Asymmetric unit:
Ac: 0.0000 0.0000 0.0000 (multiplicity 1)
Ac: 0.0000 0.0000 0.5000 (multiplicity 1)
Ac: 0.5000 0.5000 0.2318 (multiplicity 2)
Te: 0.0000 0.5000 0.5000 (multiplicity 1)
As: 0.0000 0.5000 0.0000 (multiplicity 1)
As: 0.5000 0.0000 0.2515 (multiplicity 2)

Most intense lines, 10° ≤ 2θ ≤ 80°, in order of rising 2θ:
2θ (°), I_rel, hkl
23.63, 16, 0 1 2
23.78, 17, 1 1 0
27.44, 100, 0 2 0
39.18, 52, 1 2 2
39.40, 13, 2 0 0
48.36, 14, 0 2 4
48.66, 14, 2 2 0
64.03, 24, 1 4 2

---

AcThTeAs: computed XRD peak list (a wavelength of 1.5418 Å), based on a DFT-relaxed cell (PBE, Alexandria).
Kinematic intensities with the Lorentz-polarization factor, no thermal factor.

a = 4.3639 Å, b = 4.3639 Å, c = 23.5710 Å
α = 90.00°, β = 90.00°, γ = 120.00°
Space group R3m (No. 160, hexagonal axes)
Asymmetric unit:
Ac: 0.0000 0.0000 0.0000 (multiplicity 3)
Th: 0.0000 0.0000 0.8106 (multiplicity 3)
Te: 0.0000 0.0000 0.2324 (multiplicity 3)
As: 0.0000 0.0000 0.4120 (multiplicity 3)

Most intense lines, 10° ≤ 2θ ≤ 80°, in order of rising 2θ:
2θ (°), I_rel, hkl
23.85, 32, 1 0 1
28.05, 33, 1 0 4
30.31, 100, 0 1 5
35.71, 22, 1 0 7
41.38, 49, 1 1 0
45.34, 23, 1 0 10
52.15, 22, 2 0 5
68.66, 20, 1 2 5

---

AcYTeAs: computed XRD peak list (a wavelength of 1.5418 Å), based on a DFT-relaxed cell (PBE, Alexandria).
Kinematic intensities with the Lorentz-polarization factor, no thermal factor.

a = 4.3876 Å, b = 4.3876 Å, c = 22.3548 Å
α = 90.00°, β = 90.00°, γ = 120.00°
Space group R3m (No. 160, hexagonal axes)
Asymmetric unit:
Ac: 0.0000 0.0000 0.0000 (multiplicity 3)
Y: 0.0000 0.0000 0.4806 (multiplicity 3)
Te: 0.0000 0.0000 0.2326 (multiplicity 3)
As: 0.0000 0.0000 0.7486 (multiplicity 3)

Most intense lines, 10° ≤ 2θ ≤ 80°, in order of rising 2θ:
2θ (°), I_rel, hkl
23.75, 14, 1 0 1
28.40, 100, 1 0 4
30.88, 16, 0 1 5
40.05, 34, 0 1 8
41.15, 39, 1 1 0
50.75, 20, 0 2 4
65.76, 12, 1 1 12
67.31, 17, 2 1 4